Uncovering The Middle East Banking Attacks
Misplaced records of crystals >
+++
Diffraction record for Sb3AsS6. The X-ray powder pattern is theoretical, not measured: it uses the GGA-PBE geometry in the Materials Project and Cu Kα (weighted mean of Kα1 and Kα2).

Principal peaks in the range 10 to 90 degrees two-theta, sorted by position:
(0 1 2), 16.74 deg, I 61; (0 1 3), 23.57 deg, I 44; (0 3 1), 25.07 deg, I 39; (1 2 1), 29.40 deg, I 57; (1 2 2), 32.15 deg, I 100; (1 3 0), 33.73 deg, I 29; (0 2 4), 33.85 deg, I 37; (1 4 3), 46.30 deg, I 24; (2 0 0), 47.88 deg, I 28; (1 0 6), 51.51 deg, I 34

Unit cell a=3.800 b=11.152 c=12.037 alpha=90.00 beta=90.00 gamma=90.00
Space group Pmc2_1 (No. 26)
Inequivalent atoms, fractional coordinates:
Sb  0.000  0.085  0.000 x2
Sb  0.000  0.285  0.676 x2
Sb  0.500  0.222  0.394 x2
As  0.500  0.431  0.085 x2
S  0.000  0.063  0.337 x2
S  0.000  0.316  0.154 x2
S  0.000  0.383  0.491 x2
S  0.500  0.131  0.582 x2
S  0.500  0.200  0.910 x2
S  0.500  0.446  0.738 x2


Diffraction record for PbI2. The X-ray powder pattern is theoretical, not measured: it uses the GGA-PBE geometry in the Materials Project and Cu Kα (weighted mean of Kα1 and Kα2).

Principal peaks in the range 10 to 90 degrees two-theta, sorted by position:
(0 0 6), 11.84 deg, I 100; (1 0 4), 23.45 deg, I 32; (0 1 5), 24.21 deg, I 68; (1 0 7), 26.12 deg, I 55; (0 1 8), 27.25 deg, I 81; (1 0 10), 29.81 deg, I 89; (0 1 14), 35.81 deg, I 54; (1 1 0), 38.69 deg, I 93; (1 1 6), 40.60 deg, I 32; (1 1 24), 63.90 deg, I 43

Unit cell a=4.6542 b=4.6542 c=44.8357 alpha=90.00 beta=90.00 gamma=120.00
Space group R-3m (No. 166, hexagonal axes)
Inequivalent atoms, fractional coordinates:
Pb  0.0000  0.0000  0.0000 x3
Pb  0.0000  0.0000  0.5000 x3
I  0.0000  0.0000  0.1247 x6
I  0.0000  0.0000  0.2915 x6


Diffraction record for GePb2Se4O12. The X-ray powder pattern is theoretical, not measured: it uses the GGA-PBE geometry in the Materials Project and Cu Kα (weighted mean of Kα1 and Kα2).

Principal peaks in the range 10 to 90 degrees two-theta, sorted by position:
(1 1 -2), 24.17 deg, I 28; (1 1 2), 25.87 deg, I 62; (0 2 0), 26.33 deg, I 49; (1 2 0), 28.14 deg, I 29; (2 0 2), 28.80 deg, I 23; (2 1 -2), 28.90 deg, I 100; (3 1 0), 32.37 deg, I 29; (3 2 0), 39.93 deg, I 25; (0 1 4), 40.58 deg, I 21; (3 1 4), 53.67 deg, I 25

Unit cell a=9.150 b=6.768 c=9.477 alpha=90.00 beta=96.47 gamma=90.00
Space group P2_1/c (No. 14)
Inequivalent atoms, fractional coordinates:
Ge  0.000  0.000  0.000 x2
Pb  0.463  0.237  0.096 x4
Se  0.160  0.188  0.294 x4
Se  0.238  0.687  0.131 x4
O  0.033  0.119  0.823 x4
O  0.129  0.193  0.107 x4
O  0.168  0.669  0.483 x4
O  0.324  0.191  0.813 x4
O  0.347  0.639  0.725 x4
O  0.371  0.561  0.048 x4


Diffraction record for I. The X-ray powder pattern is theoretical, not measured: it uses the GGA-PBE geometry in the Materials Project and Cu Kα (weighted mean of Kα1 and Kα2).

Principal peaks in the range 10 to 90 degrees two-theta, sorted by position:
+++
In the first week of May 2016, FireEye identified a wave of targeted and well orchestrated cyber attacks on a set of financial institutions in the Middle East. A wave of emails containing malicious attachments was being sent to multiple banks in the the region. The threat actors appeared to be performing initial reconnaissance against would-be targets, and the attacks caught our attention since they were using unique scripts not commonly seen in crimeware campaigns.
### These calculated crystals were left in the text by mistake
This entry pairs a crystal structure of AcPrTeN with its computed powder X-ray diffraction pattern. Radiation: CuKα. Structure: a DFT-relaxed cell (PBE, Alexandria).
Intensities are scaled so that the largest is 100.

Structural model:
```
data_AcPrTeN
_chemical_formula_sum 'Ac2 Pr2 Te2 N2'
_cell_length_a 3.988
_cell_length_b 4.088
_cell_length_c 13.865
_cell_angle_alpha 90.00
_cell_angle_beta 90.00
_cell_angle_gamma 90.00
_space_group_name_H-M_alt 'I m m 2'
_space_group_IT_number 44
_space_group_name_Hall 'I 2 -2'
loop_
_atom_site_label
_atom_site_fract_x
_atom_site_fract_y
_atom_site_fract_z
Ac1 0.000 0.000 0.000
Pr1 0.000 0.000 0.301
Te1 0.000 0.000 0.659
N1 0.000 0.500 0.898
```

Most intense lines, 2θ from 5° to 70°, in order of rising 2θ:
- (0 1 3), 29.2°, rel. 100
- (1 0 3), 29.6°, rel. 95
- (1 1 0), 31.3°, rel. 83
- (0 0 6), 39.0°, rel. 17
- (1 1 4), 41.0°, rel. 14
- (0 2 0), 44.3°, rel. 18
- (2 0 0), 45.5°, rel. 17
- (1 1 6), 50.8°, rel. 37
- (1 2 3), 54.2°, rel. 35
- (2 1 3), 54.9°, rel. 34


This entry pairs a crystal structure of Ac4Pr3UN8 with its computed powder X-ray diffraction pattern. Radiation: CuKα. Structure: a DFT-relaxed cell (PBE, Alexandria).
Intensities are scaled so that the largest is 100.

Structural model:
```
data_Ac4Pr3UN8
_chemical_formula_sum 'Ac12 Pr9 U3 N24'
_cell_length_a 7.4445
_cell_length_b 7.4445
_cell_length_c 18.6021
_cell_angle_alpha 90.00
_cell_angle_beta 90.00
_cell_angle_gamma 120.00
_space_group_name_H-M_alt 'R -3 m'
_space_group_IT_number 166
_space_group_name_Hall '-R 3 2"'
loop_
_atom_site_label
_atom_site_fract_x
_atom_site_fract_y
_atom_site_fract_z
Ac1 0.0000 0.0000 0.0000
Ac2 0.0000 0.5000 0.0000
Pr1 0.0000 0.5000 0.5000
U1 0.0000 0.0000 0.5000
N1 0.0000 0.0000 0.2455
N2 0.0381 0.5191 0.2365
```

Most intense lines, 2θ from 5° to 70°, in order of rising 2θ:
- (0 0 6), 28.8°, rel. 35
- (2 0 2), 29.3°, rel. 100
- (0 2 4), 33.8°, rel. 91
- (2 0 8), 48.3°, rel. 33
- (2 2 0), 48.9°, rel. 32
- (0 2 10), 57.2°, rel. 17
- (2 2 6), 57.8°, rel. 32
- (0 4 2), 58.1°, rel. 16
- (0 0 12), 59.6°, rel. 6
- (4 0 4), 60.8°, rel. 17


This entry pairs a crystal structure of Ac2PrU3N8 with its computed powder X-ray diffraction pattern. Radiation: CuKα. Structure: a DFT-relaxed cell (PBE, Alexandria).
Intensities are scaled so that the largest is 100.

Structural model:
```
data_Ac2PrU3N8
_chemical_formula_sum 'Ac6 Pr3 U9 N24'
_cell_length_a 7.0674
_cell_length_b 7.0674
_cell_length_c 17.9914
_cell_angle_alpha 90.00
_cell_angle_beta 90.00
_cell_angle_gamma 120.00
_space_group_name_H-M_alt 'R 3 m'
_space_group_IT_number 160
_space_group_name_Hall 'R 3 -2"'
loop_
_atom_site_label
_atom_site_fract_x
_atom_site_fract_y
_atom_site_fract_z
Ac1 0.0000 0.0000 0.0000
Ac2 0.0000 0.0000 0.3828
Pr1 0.0000 0.0000 0.7674
U1 0.0010 0.5005 0.8824
N1 0.0000 0.0000 0.1540
N2 0.0000 0.0000 0.6131
N3 0.0322 0.5161 0.1514
N4 0.1881 0.3763 0.9462
```

Most intense lines, 2θ from 5° to 70°, in order of rising 2θ:
FireEye technology detected a coordinated effort to compromise the security controls and gain unlawful access to over 15 financial institutes in what was a very well coordinated cyber attack. The fact that customers used FireEye Dynamic Threat Intelligence ("DTI") meant that the collective awareness of our technologies allowed for said customers to be informed within a matter of hours that this event happened on a scale. Our Mandiant incident response team helped customers understand the full scope of the attack within their environment and gave clear advice and recommendations on how to remove the adversary and ensure the business gets back to normal operations quickly. Along with this, our Cyber Threat Intelligence team helped glue all the pieces together so now we have basic attribution as to Who this attacker group was. Now we know the "Who, What, Where, When", but the "Why?" does still remain. It's clear the campaign started with a reconnaissance phase, which we expect would then lead in to lateral movement to key assets and follow with data exfiltration of IP or other information. However, this campaign was foiled in the early stages of the attack so the Why still remains. The real question is if the attacker group will update their Tools, Techniques and Procedures ("TTP") and try again or will they give up and accept their loss.
== Data records, as found in the file ==
'''
For Mg2Cd6In3, DFT lattice parameters and positions (PBE) gives the theoretical XRD peak list in this record (copper Kα).
Lines closer than 0.1° are merged.

Atomic structure:
```
data_Mg2Cd6In3
_symmetry_space_group_name_H-M 'P 1'
_symmetry_Int_Tables_number 1
_cell_length_a 7.5882
_cell_length_b 7.5882
_cell_length_c 11.2956
_cell_angle_alpha 102.87
_cell_angle_beta 102.87
_cell_angle_gamma 25.35
loop_
_symmetry_equiv_pos_as_xyz
'x,y,z'
loop_
_atom_site_label
_atom_site_type_symbol
_atom_site_fract_x
_atom_site_fract_y
_atom_site_fract_z
_atom_site_occupancy
Mg1 Mg 0.1526 0.1526 0.4717 1
Mg2 Mg 0.8474 0.8474 0.5283 1
Cd1 Cd 0.0406 0.0406 0.6724 1
Cd2 Cd 0.2830 0.2830 0.3047 1
Cd3 Cd 0.3935 0.3935 0.7715 1
Cd4 Cd 0.6065 0.6065 0.2285 1
Cd5 Cd 0.7170 0.7170 0.6953 1
Cd6 Cd 0.9594 0.9594 0.3276 1
In1 In 0.0000 0.0000 0.0000 1
In2 In 0.3378 0.3378 0.0678 1
In3 In 0.6622 0.6622 0.9322 1
```

Peak list (10 most intense, 10 to 90 degrees two-theta, by intensity)
32.7 deg, I = 100.0; 34.8 deg, I = 86.8; 38.4 deg, I = 68.8; 24.3 deg, I = 40.7; 37.3 deg, I = 39.9; 36.0 deg, I = 38.0; 40.2 deg, I = 34.5; 16.1 deg, I = 22.3; 32.1 deg, I = 22.2; 55.2 deg, I = 21.6

=====

For MgCd14In, DFT lattice parameters and positions (PBE) gives the theoretical XRD peak list in this record (copper Kα).
Lines closer than 0.1° are merged.

Atomic structure:
```
data_MgCd14In
_symmetry_space_group_name_H-M 'P 1'
_symmetry_Int_Tables_number 1
_cell_length_a 10.3969
_cell_length_b 6.2201
_cell_length_c 6.2201
_cell_angle_alpha 65.52
_cell_angle_beta 90.00
_cell_angle_gamma 90.00
loop_
_symmetry_equiv_pos_as_xyz
'x,y,z'
loop_
_atom_site_label
_atom_site_type_symbol
_atom_site_fract_x
_atom_site_fract_y
_atom_site_fract_z
_atom_site_occupancy
Mg1 Mg 0.0000 0.0000 0.0000 1
Cd1 Cd 0.0000 0.5020 0.9862 1
Cd2 Cd 0.0000 0.9862 0.5020 1
Cd3 Cd 0.2466 0.8362 0.8362 1
Cd4 Cd 0.2512 0.3316 0.8437 1
Cd5 Cd 0.2512 0.8437 0.3316 1
Cd6 Cd 0.2552 0.3391 0.3391 1
Cd7 Cd 0.5000 0.1787 0.6837 1
Cd8 Cd 0.5000 0.1816 0.1816 1
Cd9 Cd 0.5000 0.6807 0.6807 1
Cd10 Cd 0.5000 0.6837 0.1787 1
Cd11 Cd 0.7448 0.3391 0.3391 1
Cd12 Cd 0.7488 0.3316 0.8437 1
Cd13 Cd 0.7488 0.8437 0.3316 1
Cd14 Cd 0.7534 0.8362 0.8362 1
In1 In 0.0000 0.4900 0.4900 1
```

Peak list (10 most intense, 10 to 90 degrees two-theta, by intensity)
36.1 deg, I = 100.0; 38.5 deg, I = 62.3; 34.5 deg, I = 56.8; 32.8 deg, I = 50.5; 41.2 deg, I = 27.3; 70.8 deg, I = 23.8; 68.7 deg, I = 20.9; 59.7 deg, I = 20.2; 62.9 deg, I = 18.4; 31.6 deg, I = 17.7

=====

For Mg4Cd2In3, DFT lattice parameters and positions (PBE) gives the theoretical XRD peak list in this record (copper Kα).
Lines closer than 0.1° are merged.

Atomic structure:
```
data_Mg4Cd2In3
_symmetry_space_group_name_H-M 'P 1'
_symmetry_Int_Tables_number 1
_cell_length_a 5.4779
_cell_length_b 5.4779
_cell_length_c 9.6401
_cell_angle_alpha 105.48
_cell_angle_beta 105.48
_cell_angle_gamma 48.59
loop_
_symmetry_equiv_pos_as_xyz
'x,y,z'
loop_
_atom_site_label
_atom_site_type_symbol
'''
To find out more about these attacks and how banks across the globe can protect themselves, view this 45 minute webinar titled: "Uncovering The Middle East Banking Attacks" . The webinar will take you through the cyber attack when it first started in early May, the TTPs used and what steps banks can take to mitigate the risk of being a target.
The key takeaway to this incident was that an organisation having advanced capabilities to detect and respond in a timely manner, while using appropriate cyber threat intelligence, can allow an organisation to deal with advanced cyber attack groups and limit exposure to data theft or other attacker related motives.